The Joyful Teacher: A Foreword from Jennifer Serravallo

The Joyful teacher a foreword


Many years ago, I traveled to Japan with a couple hundred educators from the United States. Guests of the Japanese government, we were there to be immersed in Japanese culture and schools and to share what we learned once we returned home. I filled notebooks and took hundreds of photos, but when I close my eyes today to remember, what stands out most relates to what it is like to be a teacher in that country. A few details:

  1. Any time I told someone “I’m a teacher” in Japan, the person I was speaking to would deeply bow (saikeirei ojigi) with gratitude and reverence.
  2. New teachers in their first year(s) are considered apprentices, much like doctors start as residents. During this time, they are expected to hone their craft under the tutelage of an experienced educator.
  3. Schools are designed to support teacher professional growth: every school featured a large common room where teachers gather, plan, reflect, and collaborate every day.

Since my trip to Japan, I’ve spent years traveling around the United States and Canada to visit class-rooms and work with teachers, and I can’t help but compare. Sometimes I’ll discover that a principal reorganized the schedule to ensure a weekly professional learning community time. Some schools have mentor–mentee relationships set up, and newer-to-the-profession teachers feel supported by a colleague. Some districts fund teachers to attend workshops or state or national conferences. And still others have a full-time dedicated instructional coach, there to support all the teachers on staff. Although styles and methods vary from school to school or country to country, here’s what I find to be universally true: the most joyful schools are ones where teachers are constantly learning, where teacher professionalism is respected, and where teacher expertise pays off with positive impacts on students.

Berit knows this. In The Joyful Teacher, her deep respect for teachers, teaching, and learning comes through on every page. She empowers each of us to set our own goals using helpful self- reflection checklists, and then guides us to chart a path to work toward them with strategies, activities, opportunities to learn alongside colleagues, and more. Berit strikes a perfect balance between choice and guidance, allowing each of us to grow into the best version of teacher we can be.

As I read each page, I found inspiration: how to stay happy and healthy in a demanding job, to help students be more independent and take ownership of their education, to refine formative and summative assessment practices so they align to my values, to improve student talk and collaboration, and more. But as inspirational as this book is, it’s also incredibly practical.

What comes next are materials data, not part of the text:
........
Entry from Alexandria via LeMat-Bulk: crystalline ZnCdTe2 at its relaxed geometry (PBE).

Cell: 3.6695 3.6706 7.4354 Å, 90.00 90.00 90.00°
Closest atoms and distances in Å follow each position.
Element x y z (fractional)
Te 0.0000 0.0000 0.0153  4 Zn 3.13, 4 Cd 3.26, 1 Te 3.49
Te 0.0000 0.0000 0.4847  4 Zn 3.13, 4 Cd 3.26, 1 Te 3.49
Zn 0.5000 0.5000 0.2500  8 Te 3.13
Cd 0.5000 0.5000 0.7500  8 Te 3.26

Computed properties:
- DOS at the Fermi energy (states/eV/atom) = 0.51
- uncorrected formation energy (eV per atom) = 0.14

---

Entry from Alexandria via LeMat-Bulk: crystalline ZnCdTe2 at its relaxed geometry (PBE).

Cell: 4.4950 4.4950 7.9777 Å, 90.00 90.00 126.92°
Closest atoms and distances in Å follow each position.
Element x y z (fractional)
Zn 0.5000 0.5000 0.2500  4 Te 2.74
Cd 0.5000 0.5000 0.7500  4 Te 2.92
Te 0.0000 0.0000 0.4841  2 Zn 2.74, 2 Cd 2.92
Te 0.0000 0.0000 0.0159  2 Zn 2.74, 2 Cd 2.92

Computed properties:
- DOS at the Fermi energy (states/eV/atom) = 0.43
- uncorrected formation energy (eV per atom) = -0.01

---

Entry from Alexandria via LeMat-Bulk: crystalline ZnCdTe2 at its relaxed geometry (PBE).

Cell: 6.4714 6.4714 6.4714 Å, 144.53 87.69 103.05°
Closest atoms and distances in Å follow each position.
Element x y z (fractional)
Zn 0.7500 0.2500 0.5000  4 Te 2.72
Te 0.9826 0.9826 0.0000  2 Zn 2.72, 2 Cd 2.92
Te 0.5174 0.5174 0.0000  2 Zn 2.72, 2 Cd 2.92
Cd 0.2500 0.7500 0.5000  4 Te 2.92

Computed properties:
- DOS at the Fermi energy (states/eV/atom) = 0.40
- uncorrected formation energy (eV per atom) = -0.01

---

Entry from Alexandria via LeMat-Bulk: crystalline ZnCdTe2 at its relaxed geometry (PBE).

Cell: 7.7291 7.7291 6.5041 Å, 53.55 53.55 90.00°
Closest atoms and distances in Å follow each position.
Element x y z (fractional)
Zn 0.2500 0.7500 0.5000  4 Te 2.71
Zn 0.7500 0.2500 0.5000  4 Te 2.71
Cd 0.7500 0.7500 0.5000  8 Te 3.32, 2 Cd 3.53
Cd 0.2500 0.2500 0.5000  8 Te 3.32, 2 Cd 3.53
Te 0.8121 0.3121 0.0000  2 Zn 2.71
Te 0.1879 0.6879 0.0000  2 Zn 2.71
Te 0.6879 0.8121 0.0000  2 Zn 2.71
Te 0.3121 0.1879 0.0000  2 Zn 2.71

Computed properties:
- DOS at the Fermi energy (states/eV/atom) = 0.18
- uncorrected formation energy (eV per atom) = -0.11

---

Entry from Alexandria via LeMat-Bulk: crystalline ZrCdTe2 at its relaxed geometry (PBE).

Cell: 10.4680 10.4680 10.4680 Å, 21.61 21.61 21.61°
Closest atoms and distances in Å follow each position.
Element x y z (fractional)
Te 0.1073 0.1073 0.1073  3 Zr 2.91
Te 0.8927 0.8927 0.8927  3 Zr 2.91
Cd 0.0000 0.0000 0.0000  2 Te 3.29
Zr 0.5000 0.5000 0.5000  6 Te 2.91

Computed properties:
- DOS at the Fermi energy (states/eV/atom) = 0.22
- uncorrected formation energy (eV per atom) = -0.54

---

Entry from Alexandria via LeMat-Bulk: crystalline ZrCdTe2 at its relaxed geometry (PBE).

Cell: 6.3911 6.3911 4.3492 Å, 90.02 90.02 36.70°
Closest atoms and distances in Å follow each position.
Element x y z (fractional)
Te 0.9734 0.9734 0.8748  1 Cd 2.95, 4 Zr 3.13
........

The Joyful Teacher is filled with more than a hundred suggestions culled from research, theory, and practitioner-authored professional books. It’s written in a get-right-to-the-point kind of way that is essential for a busy teacher. And despite the high number of practical suggestions, it’s not at all overwhelming, and that’s because Berit organizes these incredible ideas into ten chapters, each aligned to a goal, with ten ideas in each (plus a chapter about giving back with nine more suggestions), which helps us find what we need quickly. This is not a book you need to read cover to cover, but one you may find yourself dipping into and out of throughout your entire career.

Berit knows that we got into this profession because we love children, and we want to do our best job for them—to place them at the center of all we do in the classroom. Although The Joyful Teacher is designed to support your teaching practice, Berit grounds every suggestion in why it matters for children. Throughout the book, conscious attention is paid to making sure that all children feel a true sense of belonging and that our classrooms are places where they all want to be. Alongside each teaching suggestion, she describes the impacts to children’s learning and practice that serve as proof that our teaching is getting stronger. This matters: unlike the Hollywood image of teacher as hero or entertainer, the masterful teacher is one who helps children belong in the classroom, find their passions and strengths, and grow. Although Berit shows us which are the consistent practices that are proven by research to “work,” she empowers us to tap into our uniqueness as individuals, and honors that how it looks for each of us will be varied.

Although you may or may not have an official instructional coach, with this book you can coach yourself. Although your school building may not have been designed by an architect who saw to it that there was a physical meeting space for learning and growth, with this book you can be the architect of your own career and see to it that there is joy in the constant learning opportunities that this amazing profession affords.



—Jennifer Serravallo

Learn more about The Joyful Teacher at

beritgordon-1Berit Gordon brings many years of teaching experience in New York City high schools as well as in the Dominican Republic to her literacy coaching work. She is a graduate and former instructor at Teachers College, Columbia University. Berit is the author of No More Fake Reading, which offers solutions for boosting stamina, joy, and skills among adolescent readers. Whether running workshops, leading literacy coaching sessions, or working in classrooms, Gordon strives to help students fall in love with reading and writing, and to lay the groundwork so they are experts at both for life. She lives with her family in Maplewood, New Jersey. 

You can connect with her on her website at or on Twitter at @BeritGordon.